Hydro arrow with a manifold: manufacturing diagram, drawing, features of use and reviews

Old technology problems

Many people know that boilers without connected pumps are often directly connected to the collector, and it is instead of this option that such a hydraulic arrow with a collector is most often used (manufacturing diagram below). These devices were simply removed from boilers with pumps, as a result of which they were installed on each separate heating circuit, but in fact, this option can not be used in all situations, since if at the moment there is still a guarantee on the boiler, then in In this case, it will not be possible to remove the pumps from it, and if we are talking about a cast-iron boiler, then in the case of such a dismantling of its components, when the heating is first turned on, even individual sections of the boiler may burst, unable to withstand such a temperature difference.


In this article, we looked at various ways to make a water arrow with your own hands. The first, steel, are widely demanded by specialists due to their durability and functionality. Second, polypropylene arrows are cheaper. However, they are not as reliable as metal ones (they can break from the temperature difference).

The structure of the hydraulic arrow in the section is the same in most homemade crafts. A more advanced device has hydraulic arrows produced by specialized companies. As for the alternative, then again it is worth paying attention to the products of manufacturers. In any case, proceed from your resources and acquired skills, but remember, a free couple of hours can turn into a day or a week.

What this technology gives

hydraulic arrow with a manifold manufacturing scheme

To get rid of all this, today a specialized hydraulic arrow with a manifold is used (the manufacturing scheme is presented in the article). This device is intended to separate the hydraulics, and more precisely, it divides the boiler directly from the rest of the heating system. Thus, for example, a hydraulic arrow with a manifold (the manufacturing diagram is illustrated) can provide a single pump in the boiler, while several more such units of different capacities are installed in the system.

How does it work

The device of such equipment is extremely simple. At the moment, we will not disassemble any high-tech devices, but consider only the main options for implementing such a technology.

In principle, it is enough to use a standard piece of pipe from which the hydraulic gun (hydraulic separator) is made. The calculation of the hydraulic arrow will allow you to understand what basic characteristics such a device should have and what materials are best used for its manufacture.

What is its purpose

manufacture of a heating manifold

First of all, the designers try to proceed from the fact that the arrow is intended specifically to separate the hydraulics. In the overwhelming majority of cases, manufacturers today are trying to produce boilers equipped with their own pumps, and such devices are quite powerful.

For example, there are boilers with a closed combustion chamber in which built-in pumps are installed. The power of such devices can be approximately 300 watts, but in fact it will not be enough to completely push through the heating system if it is required to provide an object for 1000 m2, namely, such equipment is approximately designed for such an average heating area.

In this regard, it is necessary to install additional pumps, as well as use combined systems. It is in such a situation that, instead of help, the pump that is originally used in the boiler will simply interfere, and it is in such cases that a hydraulic arrow can be used (purpose, calculation, manufacturing - more on this later in the article). At the same time, it is worth noting the fact that such high-power equipment in the majority of cases is initially supplied with a factory hydraulic arrow in the kit, or at least there is a fairly accurate instruction on how to connect it.

If you take smaller boilers, then basically the same story is with them, but in this case you will have to make your own.

DIY polypropylene water gun

Another popular material used in the manufacture of water shooters is polypropylene. We have already talked about it in the material do-it-yourself heating collector. From the point of view of operation, polypropylene is inferior to steel. Still, it is based on polyethylene, albeit of special strength, but it has the property of melting at high temperatures. In heating systems, the parameters change constantly, and if this happens quickly and unexpectedly (for various reasons), then breakdowns cannot be avoided.

In addition, there are nuances in polypropylene welding.

The pipe is also selected according to the rule of three diameters, which often leads to difficulties, especially in high-capacity heating systems. In this regard, a polypropylene hydraulic arrow is usually mounted in low-power home boilers.

polypropylene hydraulic arrow

Often in boiler rooms you can find a combined option - a steel hydraulic arrow and polypropylene collectors. Do not forget, the wording of the names is different for different craftsmen and manufacturers. Hydro arrows often appear in video tutorials, although in reality we have ordinary combs.

polypropylene hydraulic arrow assembly

The cost price of a polypropylene hydraulic arrow is about 1,000 rubles, provided that you have all the fittings and a welding machine.

Where is it installed

connection of the boiler of the hydraulic arrow and the collector

The hydraulic arrow is installed on floor-standing boilers without a built-in pump to ensure effective protection of the boiler against a large temperature difference during the first start of the heating system. For example, using this equipment, standard steel boilers can be protected from the generated condensate, while cast iron devices can be protected from the possibility of failure of individual sections.

To exclude such unpleasant situations, a specialized hydraulic arrow is used. The drawing and diagram of the boiler room in this case play an important role, since depending on the characteristics of the heated object, you need to choose the appropriate equipment. The only thing worth noting is that you also need to use an additional pump for various floor standing boilers.


Initially, a person in his house wants to get an almost ideal heating system, having spent reasonable money on it, and in this case it all starts with the boiler. For a small private house, you can choose a standard double-circuit boiler with a closed chamber, which will be mounted on the wall. At the same time, it is necessary to correctly understand that in the overwhelming majority of cases, to ensure the normal distribution of the coolant in this system, it may be necessary to individually manufacture the heating collector of the hydraulic arrow. In such a situation, a completely standard question arises: will their pumps be used and what needs to be done with the device in the boiler?

It is quite natural that many people in such situations prefer to simply dismantle the pump from the boiler so that it does not spoil the installed hydraulics of the system, but in fact, the design of some devices is made in such a way that it is unlikely to be possible to do this procedure. It is in such situations that the connection between the boiler and the collector becomes the ideal solution.

Features of stainless steel heating collectors

Heating collectors are responsible for the separation and distribution of the heating medium. The first provides hydro arrow... The vertical structure communicates with the boiler through the inlet and outlet connections. It is in it that the fluids of the primary and secondary lines are mixed. Thus, the temperature balance is maintained. Hot and cold water mixes to form a new stream that is safe for the system.

Inside the arrow is set separator, it is also made of stainless steel. Needed to clean the coolant. The fact is that, circulating along the contours, the liquid accumulates various impurities and air. Foreign substances have a negative effect on the operation of the devices. Mechanical particles clog valves, bends and other moving parts, and air bubbles provoke oxidation processes. Cast iron heat exchangers are starting to rust. As a rule, this process is irreversible.

How is the installation carried out in such a situation?

hydraulic arrow hydraulic separator calculation of hydraulic arrow

Initially, a diagram of the distribution manifold is drawn. As an example, consider the following situation:

  • Two contours of underfloor heating.
  • The system will use an indirect heating boiler circuit, two spare circuits for a heat pump or a separate electric boiler, as well as a hydraulic arrow circuit, that is, 5 circuits.

In this case, there is nothing difficult in how to draw a collector diagram - it is enough to have at least some understanding of how such a system works.

How to choose a distribution manifold?

The combs have a similar design - they have standard choke threads and bore diameters. Connection can be carried out using several types of pipelines and fittings. The difference may be the permissible number of fittings - it varies between 2-12 pieces. The combs can be easily grouped together to provide the required number of bends.

Heating distribution manifold
Distribution heating manifold designed for servicing underfloor heating

In distribution manifolds intended for servicing underfloor heating, mechanisms must be provided to regulate the intensity and temperature of the working flow on each branch. These devices can be manual or automated. In the case of radiators, such elements are not necessary, since control can be carried out directly on each battery.

The choice may be influenced by the base material:

  • collectors made of stainless steel are sold in a high price segment, but the price is justified by the quality - the products have the largest service life among analogues. The combs withstand increased pressure, they are equipped with air removers, end cap nuts for servicing the ball valve, control valves;
  • low-cost polymer products are characterized by insufficient strength, it is not advisable to use them in heating systems, since they do not have the necessary indicators of thermal expansion;
  • the most popular are the brass series - inexpensive and at the same time functional.

If you have certain skills, you can assemble the distribution manifold yourself, but in the case of using metal, it is necessary to minimize the likelihood of rust entering the system.

Manufacturing and calculation

Diy water arrow making scheme

It is worth noting the fact that you can independently adjust the power that your hydraulic arrow will have. How to calculate the power, you need to proceed directly from the characteristics of your room and the devices used.

If you do not need the power of the device you purchased, then in this case it will be possible to reduce the threads in diameter, but at the same time make a longer arrow. In some situations, it is advisable to reduce the total power of the purchased equipment in power by up to two times, since, for example, 80 kW devices are not needed in every home, and in such cases it would be quite optimal to leave equipment with a capacity of 40 kW or more.

How to arrange it

hydraulic arrow how to calculate

Some who use the scheme for making a hydraulic arrow with their own hands prefer to install it in the immediate vicinity of the boiler, but many experts say that mounting this device on a manifold is also a good option, which ultimately allows you to achieve a complete and harmonious design that will further easy to use, check and maintain.

In this case, the boiler can be installed approximately three meters before the installation point of the arrow, while the boiler supply and return lines can be mounted through the floor if there is a floor heating cake in the house. Otherwise, there are no fundamental differences in where your arrow will be mounted, and the main thing in this case is the installation of equipment with a suitable power and always in a vertical state. If you are making a hydraulic arrow for a heating system (diagram / calculation above), in which a boiler is installed without a safety valve, then it is recommended to weld an inch thread to the top of the device for mounting a special safety group.

It is also recommended to weld a small thread in the lower part to ensure proper drainage and filling of the arrow. An obligatory practical condition is the insertion of specialized couplings for thermometer installation into the “boiler, hydraulic arrow and collector” system. In the process of further operation, this can make your life easier, as it will allow you to easily monitor the state of the heating system.

• Materials data from another source follow:
+++
Material: SiSnO3
Method: DFT, PBE
State: relaxed

## Properties
Its symmetry is Pm-3m, No. 221. For the energy, the calculation gives -32.85 eV per cell. The calculation puts the magnetic moment at 0.0 μB per cell.

abc: 3.7122 3.7122 3.7122
angles: 90.00 90.00 90.00
Closest atoms and distances in Å follow each position.
Positions (direct):
Si1 0.5000 0.5000 0.5000  6 O 1.86
Sn1 0.0000 0.0000 0.0000  12 O 2.62
O1 0.5000 0.5000 0.0000  2 Si 1.86
O2 0.5000 0.0000 0.5000  2 Si 1.86
O3 0.0000 0.5000 0.5000  2 Si 1.86

~~~~~

The following is a r²SCAN calculation of a relaxed structure of Tm2Te5O13, from Materials Project. Values from VASP.

Cell and atoms, written as Quantum ESPRESSO input:
```
&SYSTEM
  ibrav = 0, nat = 40, ntyp = 3
/
ATOMIC_SPECIES
Tm 168.93 Tm.upf
Te 127.60 Te.upf
O 16.00 O.upf
ATOMIC_POSITIONS crystal
Tm 0.448 0.470 0.820
Tm 0.552 0.530 0.180
Tm 0.000 0.260 0.761
Tm 0.000 0.740 0.239
Te 0.272 0.396 0.484
Te 0.438 0.903 0.302
Te 0.291 0.878 0.973
Te 0.728 0.604 0.516
Te 0.844 0.197 0.361
Te 0.709 0.122 0.027
Te 0.156 0.803 0.639
Te 0.127 0.351 0.105
Te 0.562 0.097 0.698
Te 0.873 0.649 0.895
O 0.314 0.735 0.288
O 0.654 0.018 0.876
O 0.336 0.513 0.617
O 0.059 0.820 0.038
O 0.326 0.226 0.778
O 0.459 0.194 0.520
O 0.936 0.985 0.305
O 0.468 0.671 0.000
O 0.064 0.015 0.695
O 0.127 0.493 0.898
O 0.674 0.774 0.222
O 0.957 0.648 0.434
O 0.941 0.180 0.962
O 0.936 0.731 0.722
O 0.532 0.329 0.000
O 0.873 0.507 0.102
O 0.043 0.352 0.566
O 0.664 0.487 0.383
O 0.346 0.982 0.124
O 0.668 0.263 0.228
O 0.064 0.269 0.278
O 0.767 0.500 0.816
O 0.233 0.500 0.184
O 0.541 0.806 0.480
O 0.686 0.265 0.712
O 0.332 0.737 0.772
CELL_PARAMETERS angstrom
-2.172 -6.345 -1.474
0.086 -4.228 7.501
-10.085 2.391 1.769
```

Results
Space-group type = No. 2
Calculated volume = 14.97 Å³ per atom
Final energy = -15.666 eV/atom
Total magnetic moment = 0.00 μB per formula unit
Energy of formation = -1.917 eV/atom
+++

Appointment of a hydraulic arrow

Hydro arrows
Hydro arrows
The purpose of the hydraulic arrow, or hydraulic valve, is divided into the main function and the auxiliary ones. It depends on the design of the device. The main one is to correctly distribute the coolant flows. The need for this may arise in the following situations:

  • In a heating system operating from one heating device, and having two or more circuits that require different flow rates of the coolant. Especially if the second circuit is larger than the main one. In this case, it is absolutely unprofitable to increase the intensity of the boiler operation. This will not only lead to unnecessary fuel consumption, but also significantly reduce the service life of the heater. Not to mention the fact that in rooms heated by the main circuit, it will simply be too hot.
  • The heating system has several different circuits. Radiators, underfloor heating and so on. The hydraulic arrow will allow all of them to work without negatively affecting each other, and if one of them is turned off, the rest will continue their work without unnecessary loads and thermal shocks.
  • The heating system has several circuits, each of which operates with a circulation pump. The hydraulic valve will ensure their work independently of each other.
  • There are several heating boilers in the heating system.
  • Also, the hydraulic arrow makes it possible to turn off one circuit, regardless of the others. For example, to carry out some kind of repair work.
  • The hydraulic distributor dampens heat shocks during system start-up and emergency shutdown. A necessary condition if there are cast iron elements in the system, which may become unusable due to sudden temperature changes.

There are only two auxiliary functions, but they also play a very important role:

  • The hydraulic arrow makes it possible to bleed air from the heating system through a specially installed valve.
  • It also serves as a storage device for rust, scale and other types of deposits, which, thanks to it, are easily removed.

As you can understand, a do-it-yourself hydraulic arrow mounted in the heating system is a very useful thing, which allows you to regulate the operation of heating and carry out repair work on time, without turning off the boiler.

How to make it

hydraulic arrow purpose calculation manufacturing

If you have a standard welding machine and experience with such equipment, then in this case there is nothing difficult in welding a full-fledged hydraulic arrow yourself. However, you need to correctly understand the fact that in the process of performing this work, you need to take into account a large number of subtleties.

Nowadays, there is nothing difficult in finding a drawing of a hydraulic arrow, but at the same time you need to correctly understand that all such drawings are different, and there is no specific template. Each specialist sees the structure of a hydraulic arrow differently, but there are certain rules that are followed by absolutely everyone.

The arrow itself is a certain metal container, to which the pipes are welded, designed to connect to the boiler and provide supply and return. Also, consumer pipes are built into the system.

Optionally, you can use the branch pipes intended for the automatic air vent in the upper part of the installed arrow. In the lower part, a tap pipe is installed to ensure the removal of various sludge and dirt. Among other things, in some place you can also put a pipe for making up water in the system.

How to make a do-it-yourself heating distribution manifold?

The product design is based on the number of heating circuits used. It is necessary to take into account the location of the heating boiler, the specifics of the nozzles, the features of heating and indirect circuits, plans for a possible increase in their number in the future, the points of heat distribution.

Heating distribution manifold
An example of a do-it-yourself heating distribution manifold

When drawing up the project, it is also necessary to take into account that each circuit has two pipes - for supply and return. It will be necessary to note the additional equipment - a drain valve, an expansion tank, a group of thermostats, a filling valve, a make-up valve.

The next step is spatial modeling. We'll have to figure out the specifics of connecting pipes to the collector, usually taps for indirect heating and connection with a solid fuel boiler are formed at the ends, for electric and gas wall-mounted boilers, the branch pipe is cut from above. All the information collected is taken into account when drawing up the collector drawing (graph paper is useful here). Between adjacent pipes, you need to maintain a distance of 10 cm, as practice shows, a maximum of 20 cm.

The most convenient material for self-assembly of the comb is a square or regular pipe profile. To perform the marking, it is advisable to prepare a ruler, caliper, core. With the help of a gas cutter, holes are made into which nozzles will be cut in the future. In these seats, you need to insert pipe cuttings equipped with threads.

The workpieces are fixed by welding - first by roughing, by the second method the entire perimeter is processed. Next, you need to equip the resulting body with brackets for hanging the comb on the wall. The joints must be cleaned from rust and scale. The structure is coated with a degreasing compound, paint and varnish are applied successively.

After 2-3 days, when the layers of paint are completely dry, the collector can be mounted on the prepared place and connected to the incoming, outgoing circuits. As a result, an effective tool is formed that can fully coordinate the complex heating system of a private household.

First rule

The most important rule that must always be followed is the so-called "rule of three diameters", that is, the diameter of the hydraulic arrow you installed should be three times larger than this parameter for the nozzles. If you want the hydraulic separator to be able to fully perform its main functions, that is:

  • separate sludge from the system;
  • remove gases;
  • equalize the hydraulic difference;
  • supply heated water to the boiler in order to ensure its greater durability.

Many people prefer to save money and make their own hydraulic arrows from polypropylene, but in fact this is an absolutely wrong decision, taken mainly by people who have little understanding of the features of the operation of such equipment.

It is for this reason that it is worth using only full-fledged metal pipes, which allow you to fully realize the potential of such a technology and will really show themselves effectively throughout the entire service life of such a system.

( 2 grades, average 4.5 of 5 )

